Listing:
A structure of composition C26H41BIN14O6S2. Source: OMol25; level of theory: the ωB97M-V functional and the def2-TZVPD basis.

HOMO = -0.2016 hartree
charge = -1
E = -91217.1047 eV
gap between HOMO and LUMO = 7.14 eV

```
91
Properties=species:S:1:pos:R:3:mulliken_charge:R:1
I -2.066 -1.070 -0.442 0.086
S 2.290 1.094 1.376 0.905
S 0.418 -0.560 2.702 1.052
O 4.138 0.133 -0.721 -0.685
O 0.817 -1.260 -1.059 -0.500
O 0.348 -1.357 4.003 -0.721
O 3.043 2.397 1.672 -0.731
O -0.947 0.117 2.578 -0.567
O 1.213 1.443 0.371 -0.608
N -8.698 4.165 0.097 -0.420
N 4.774 -3.977 2.216 -0.419
N -1.704 -2.180 -3.390 -0.399
N -6.262 -1.381 1.449 -0.444
N -6.791 3.424 4.630 -0.439
N 7.826 1.604 6.791 -0.525
N 6.385 -0.525 3.662 -0.384
N -4.337 1.257 -0.072 -0.457
N 1.710 0.537 2.883 -0.464
N 10.576 -0.923 5.314 -0.416
N -7.164 -4.879 -2.437 -0.429
N -2.985 -0.727 -8.191 -0.485
N 4.109 -1.156 1.504 -0.388
N 0.064 0.841 -7.470 -0.378
C 6.495 -0.758 4.784 0.400
C 10.731 0.196 5.093 0.393
C 10.930 1.620 4.810 -0.721
C -6.272 4.981 -0.443 -0.718
C -7.706 1.637 2.953 -0.474
C -3.527 2.731 1.930 -0.512
C -7.631 4.524 -0.140 0.384
C -2.714 -0.468 -5.092 -0.633
C -7.608 -4.125 -3.189 0.471
C 7.347 -3.854 2.667 -0.733
C 7.361 2.346 6.042 0.434
C 6.764 3.288 5.091 -0.807
C -8.172 -3.168 -4.145 -0.819
C -0.380 1.595 -8.218 0.363
C -5.836 -2.381 -0.931 -0.549
C -6.076 -1.820 0.403 0.354
C -2.349 -1.649 -8.458 0.472
C 0.666 -1.822 1.363 -0.447
C -7.194 2.637 3.892 0.332
C -1.539 -2.821 -8.798 -0.807
C -3.984 1.910 0.807 0.418
C -0.944 2.554 -9.170 -0.795
C 0.057 -1.420 -0.063 0.343
C 6.635 -1.043 6.212 -0.962
C -2.149 -1.427 -4.140 0.383
C 5.906 -3.923 2.415 0.453
B 3.626 -0.048 0.629 0.443
H 0.077 -2.757 1.699 0.388
H -8.880 -2.490 -3.663 0.273
H -3.423 0.209 -4.607 0.301
H -6.280 5.872 -1.074 0.305
H -4.324 2.893 2.660 0.110
H 11.147 2.185 5.719 0.266
H 10.043 2.068 4.356 0.149
H 6.895 -2.089 6.393 0.303
H -2.693 2.258 2.457 0.197
H 11.762 1.781 4.121 0.327
H -5.720 5.232 0.466 0.220
H 6.213 2.767 4.303 0.242
H -1.477 2.050 -9.980 0.252
H 7.747 -4.821 2.981 0.333
H -5.698 4.215 -0.970 0.226
H 7.583 -3.133 3.453 0.112
H -6.607 -3.102 -1.210 0.165
H 1.758 -2.182 1.285 0.042
H -8.424 2.073 2.253 0.227
H -2.103 -3.537 -9.400 0.305
H 5.122 -1.104 1.687 0.188
H -5.827 -1.603 -1.699 0.208
H -3.185 3.714 1.596 0.266
H 7.417 -0.431 6.666 0.370
H 7.524 3.904 4.605 0.273
H -1.938 0.149 -5.550 0.148
H 3.489 -0.352 -1.282 0.336
H -8.705 -3.675 -4.952 0.331
H 6.062 3.965 5.584 0.325
H -8.213 0.820 3.471 0.290
H 5.709 -0.842 6.756 0.335
H -1.199 -3.346 -7.902 0.273
H -6.903 1.194 2.358 0.059
H -0.167 3.171 -9.627 0.311
H -4.875 -2.898 -0.984 0.208
H -0.651 -2.542 -9.369 0.262
H 7.897 -3.550 1.773 0.244
H -3.247 -0.970 -5.899 0.209
H 3.950 -2.076 1.049 0.270
H -1.653 3.230 -8.686 0.256
H -7.394 -2.554 -4.604 0.248
```

***

A structure of composition C2H5IN2. Source: OMol25; level of theory: the ωB97M-V functional and the def2-TZVPD basis.

HOMO = -0.3461 hartree
charge = 0
E = -13233.5380 eV
gap between HOMO and LUMO = 9.39 eV
energy above the lowest of the compared OMol25 structures with the same formula, charge and spin = 0.914 eV

```
10
Properties=species:S:1:pos:R:3:mulliken_charge:R:1
I -0.810 -1.946 2.853 0.091
N 0.066 0.251 -0.961 -0.494
N -1.078 -0.021 2.251 -0.456
C -0.120 0.762 2.071 -0.383
C -0.271 -0.768 -1.600 -0.214
H -0.821 -0.627 -2.521 0.250
H 0.943 0.561 2.212 0.405
H 0.589 0.071 -0.106 0.270
H -0.384 1.760 1.747 0.324
H -0.067 -1.805 -1.315 0.206
```

***

A structure of composition C26H42N2O5PtSSb. Source: OMol25; level of theory: the ωB97M-V functional and the def2-TZVPD basis.

HOMO = -0.6629 hartree
charge = +3
E = -61454.1379 eV
gap between HOMO and LUMO = 7.46 eV
energy above the lowest of the compared OMol25 structures with the same formula, charge and spin = 0.000 eV

```
78
Properties=species:S:1:pos:R:3:mulliken_charge:R:1
Pt -0.842 1.123 -0.260 0.996
Sb 0.690 -0.142 3.396 1.443
S 0.454 1.844 -1.782 0.771
O -1.353 -5.152 -1.752 -0.517

Brief:
It remains to restate every line earlier on that contains the word "composition".

Reply:
A structure of composition C26H41BIN14O6S2. Source: OMol25; level of theory: the ωB97M-V functional and the def2-TZVPD basis.
A structure of composition C2H5IN2. Source: OMol25; level of theory: the ωB97M-V functional and the def2-TZVPD basis.
A structure of composition C26H42N2O5PtSSb. Source: OMol25; level of theory: the ωB97M-V functional and the def2-TZVPD basis.